Sunday, June 15, 2014

-- Next to the entry, the page also holds crystal structures --
+++
Entry 1:
# ScCd2Ag

An optimized crystal structure of ScCd2Ag (PBE, Alexandria).

Cell lengths 10.4793, 3.6748, 4.9115 Å; angles 90.00, 117.42, 90.00 degrees
Closest atoms and distances in Å follow each position.
Space group C2/m (No. 12)
Inequivalent atoms, fractional coordinates:
Sc1 0.0000 0.0000 0.0000 x2  8 Cd 3.06-3.32, 4 Ag 3.07
Cd1 0.2372 0.0000 0.7370 x4  2 Ag 2.87, 2 Sc 3.06, 4 Cd 3.07-3.08
Ag1 0.0000 0.5000 0.5000 x2  4 Cd 2.87, 4 Sc 3.07

## Properties
total magnetic moment: 0.000 μB/atom
final energy: -2.891 eV/atom
calculated formation energy: -0.1376 eV per atom

***

Entry 2:
# ScCd12Ag6

An optimized crystal structure of ScCd12Ag6 (PBE, Alexandria).

Cell lengths 10.2422, 10.2422, 13.0746 Å; angles 90.00, 90.00, 120.00 degrees
Closest atoms and distances in Å follow each position.
Space group R-3 (No. 148, hexagonal axes)
Inequivalent atoms, fractional coordinates:
Sc1 0.0000 0.0000 0.0000 x3  6 Ag 2.89, 6 Cd 3.03
Cd1 0.0304 0.8444 0.8121 x18  4 Ag 2.96-3.15, 5 Cd 2.96-3.21, 1 Sc 3.03
Cd2 0.0582 0.2121 0.4130 x18  4 Ag 2.89-3.15, 5 Cd 2.99-3.21
Ag1 0.0238 0.5891 0.7013 x18  8 Cd 2.89-3.15, 1 Sc 2.89, 2 Ag 3.00

## Properties
total magnetic moment: 0.000 μB/atom
final energy: -1.877 eV/atom
calculated formation energy: -0.0649 eV per atom

***

Entry 3:
# Sc5CdAg4

An optimized crystal structure of Sc5CdAg4 (PBE, Alexandria).

Cell lengths 3.4307, 3.4307, 17.5090 Å; angles 90.00, 90.00, 90.00 degrees
Closest atoms and distances in Å follow each position.
Space group P4/mmm (No. 123)
Inequivalent atoms, fractional coordinates:
Sc1 0.0000 0.0000 0.0000 x1  8 Ag 2.98
Sc2 0.0000 0.0000 0.1975 x2  8 Ag 2.98
Sc3 0.0000 0.0000 0.3934 x2  4 Ag 2.96, 4 Cd 3.06
Cd1 0.5000 0.5000 0.5000 x1  8 Sc 3.06
Ag1 0.5000 0.5000 0.0985 x2  8 Sc 2.98
Ag2 0.5000 0.5000 0.2964 x2  8 Sc 2.96-2.98

## Properties
total magnetic moment: 0.000 μB/atom
final energy: -4.675 eV/atom
calculated formation energy: -0.2777 eV per atom

***

Entry 4:
# Sc11Cd9Ag4

An optimized crystal structure of Sc11Cd9Ag4 (PBE, Alexandria).

Cell lengths 14.1387, 21.2081, 3.4541 Å; angles 90.00, 90.00, 90.00 degrees
Closest atoms and distances in Å follow each position.
Space group Cmmm (No. 65)
Inequivalent atoms, fractional coordinates:
Sc1 0.0000 0.0000 0.0000 x2  8 Cd 3.04
Sc2 0.0000 0.1629 0.0000 x4  8 Cd 3.08-3.15, 2 Sc 3.41
Sc3 0.0000 0.3575 0.0000 x4  4 Ag 2.88, 4 Cd 3.12
Sc4 0.2221 0.5000 0.0000 x4  4 Ag 2.88, 4 Cd 3.12
Sc5 0.2405 0.1731 0.0000 x8  2 Ag 2.84, 6 Cd 3.07-3.12
Cd1 0.0000 0.5000 0.5000 x2  4 Ag 2.94
Cd2 0.1092 0.2589 0.5000 x8  8 Sc 3.08-3.12, 1 Cd 3.09, 1 Ag 3.10
Cd3 0.1341 0.0768 0.5000 x8  8 Sc 3.04-3.15, 1 Ag 3.11, 1 Cd 3.26
Ag1 0.1482 0.4029 0.5000 x8  6 Sc 2.84-2.88, 3 Cd 2.94-3.11

## Properties
total magnetic moment: 0.000 μB/atom
final energy: -3.991 eV/atom
calculated formation energy: -0.2711 eV per atom

***

Entry 5:
# Sc4CdAg5

An optimized crystal structure of Sc4CdAg5 (PBE, Alexandria).
+++

Diverting Interests: How to Make A Passion Worthwhile

I'm currently a high school student. That means projects. And in biology this year, we don't have a final exam.

We have to write a research paper.

Now, don't get me wrong: this has never been hard before. But my right hand has been hurting me for a few weeks, and violin and piano aren't helping. Luckily, I write left-handed, so it's not horribly difficult in everyday life.

However, typing is difficult now. This post may well turn out shorter than most because of that. I apologize. (I also apologize if anyone reads my fanfictions, but it hurts too much to type them up.) Because of this, my research paper, due this coming Friday, is only halfway typed. It's not too much of a struggle, because I have a free block every day in school where I can type if my hand doesn't hurt. And of course, an interesting topic helps as well.

Biology is an easy subject for me. Most of the work is terminology, which I can glance at and memorize. But DNA was different when we studied it in December. It was more complex, and took some time to fully understand. That began a fascination. I know about triple the amount taught in class, without question. I temporarily considered it as a career path in February, but my mind returned to physics, as it has for two years.

Now, we get to pick our own topics for the research project. DNA was an obvious choice, especially since we ran out of time and did not cover the Human Genome Project. I had to pick a division of that to work with, though, so I took the Trekkie's path: eugenics.

The project requires a three-to-five minute oral presentation. That may be a struggle, especially if my hand hurts too much to manage the pointer. But I will manage, as I always have.

I know so many things by now.
I know enough to stun.
I know nothing of childhood, though,
As that was less than one.

(Yeah, umm... that verse is just accurate right now. I'm watching a ton of superhero cartoons on Netflix. I was a hyperlexic child, reading books independently before age four. I never had the need for imaginary things after the age of five, but my mind is now realizing how little it matured because of my lost childhood.)

Tuesday, June 3, 2014

Frugal Fido

As summer approaches, Tessie and I are having a lot of fun.

For those of you who don't know, Tessie is my service-dog-eternally-in-training-because-she-loves-to-run-away. She can understand my whistles, my Morse code tappings, my English words, my Latin words (you read that right, I know some Latin), and my scent. She is my best friend, my doggy soulmate, and my most valuable possession. Tessie is my only interesting summertime companion, as my eleven-year-old cat just lies around every day and my parents work.

Tessie is the only creature who can get me to run. The husky half of her is always hyper, so I walk her up the hill near our house and run down each day. She won't run with my marathon-running siblings, but she will match my pace to make me exercise.

-- begin --
Entry 1:
# Y2MgHg

Crystalline Y2MgHg at its relaxed geometry (PBEsol, Alexandria via LeMat-Bulk).

a b c (Å): 3.610 5.197 6.284
angles (deg): 114.43 106.69 90.00
Atoms (fractional coordinates):
Hg1 0.515 0.515 0.030
Mg1 0.218 0.718 0.435
Y1 0.772 0.272 0.544
Y2 0.996 0.996 0.991

Computed properties:
Magnetic moment (μB per cell): 0.4
Space group: Imm2 (44)
Energy above the most stable polymorph in this dataset (eV per atom): 0.064
Formation energy (eV per atom): -0.291
Uncorrected energy (eV per cell): -17.09



Entry 2:
# YMgHg

Crystalline YMgHg at its relaxed geometry (PBEsol, Alexandria via LeMat-Bulk).

a b c (Å): 3.494 4.843 4.843
angles (deg): 120.00 90.00 90.00
Atoms (fractional coordinates):
Y1 0.500 0.667 0.333
Mg1 0.000 0.333 0.667
Hg1 0.000 0.000 0.000

Computed properties:
Magnetic moment (μB per cell): 0.0
Space group: P-6m2 (187)
Formation energy (eV per atom): -0.400
Uncorrected energy (eV per cell): -10.31



Entry 3:
# Y2MgHg

Crystalline Y2MgHg at its relaxed geometry (PBEsol, Alexandria via LeMat-Bulk).

a b c (Å): 3.832 5.129 5.129
angles (deg): 90.00 90.00 90.00
Atoms (fractional coordinates):
Y1 0.000 0.500 0.000
Y2 0.000 0.000 0.500
Hg1 0.500 0.500 0.500
Mg1 0.500 0.000 0.000

Computed properties:
Magnetic moment (μB per cell): 0.0
Space group: P4/mmm (123)
Energy above the most stable polymorph in this dataset (eV per atom): 0.000
Formation energy (eV per atom): -0.355
Uncorrected energy (eV per cell): -17.35



Entry 4:
# YMgHg2

Crystalline YMgHg2 at its relaxed geometry (PBEsol, Alexandria via LeMat-Bulk).

a b c (Å): 3.471 3.471 7.362
angles (deg): 90.00 90.00 90.00
Atoms (fractional coordinates):
Y1 0.500 0.500 0.500
Hg1 0.000 0.000 0.231
Hg2 0.000 0.000 0.769
Mg1 0.500 0.500 0.000

Computed properties:
Magnetic moment (μB per cell): 0.1
Space group: P4/mmm (123)
Formation energy (eV per atom): -0.484
Uncorrected energy (eV per cell): -11.61



Entry 5:
# YMg2Hg2

Crystalline YMg2Hg2 at its relaxed geometry (PBEsol, Alexandria via LeMat-Bulk).

a b c (Å): 4.217 4.217 7.121
angles (deg): 107.22 107.22 90.00
Atoms (fractional coordinates):
Mg1 0.750 0.250 0.500
Mg2 0.250 0.750 0.500
Y1 0.000 0.000 0.000
Hg1 0.607 0.607 0.214
Hg2 0.393 0.393 0.786

Computed properties:
Magnetic moment (μB per cell): 0.0
Space group: I4/mmm (139)
Formation energy (eV per atom): -0.369
Uncorrected energy (eV per cell): -13.24



Entry 6:
# YMgHg2

Crystalline YMgHg2 at its relaxed geometry (PBEsol, Alexandria via LeMat-Bulk).

a b c (Å): 3.688 3.688 8.642
angles (deg): 77.68 77.68 60.00
Atoms (fractional coordinates):
Y1 0.000 0.000 0.000
Hg1 0.245 0.245 0.264
Hg2 0.755 0.755 0.736
Mg1 0.500 0.500 0.500

Computed properties:
Magnetic moment (μB per cell): 0.0
Space group: R-3m (166)
Formation energy (eV per atom): -0.301
Uncorrected energy (eV per cell): -10.88



Entry 7:
# YMgHg2

Crystalline YMgHg2 at its relaxed geometry (PBEsol, Alexandria via LeMat-Bulk).

a b c (Å): 3.821 3.821 6.445
angles (deg): 90.00 90.00 90.00
-- stop --
End of the data records.

My family loves to encourage my passions, but we don't have a lot of money. We can't afford for me to take Tessie to agility classes* or get awesome equipment. But when my mom gets PVC pipes to make garden supplies, I'm allowed to get some stuff of my own.

So for under ten dollars, Tessie has a couple of new jumps.

We got a ten-foot by 1/2-inch PVC pipe and four tees. We're going back at some point to get bases for the jumps, but we'll still be under ten bucks. Anyway, we cut two pieces at twenty-four inches, and the remaining four at eighteen inches each. Tessie can easily clear such a height, so that's no concern. If she was smaller, we would have made them lower. We put the tees at the tops of the shorter rods, and connected two of them with a longer pipe. The tees serve to connect the pieces vertically, allowing for easier storage. Tessie hasn't been able to try it yet, but it'll probably happen within the next two weeks.

*Dog agility, for anyone who doesn't know, is an international sport. Dogs are trained to jump hurdles, climb ramps, zigzag in between poles, and remain sitting for five seconds in the "pause box". The fastest time with the fewest faults wins. It is a difficult sport, but many people benefit from it, and it is the only way I feel safe running. When running on the streets, I have to watch for cars, but agility can be done in one's backyard, providing greater security. As evidenced by this post, it does not have to be expensive. I highly recommend it to anyone who wishes they could sleep at night, but has too much practically anyone who reads this blog knows someone to suggest agility to.

My family barely knows me.
My family is just dull.
My family is still learning me,
But my dog knows me well.